(Entries)
........
Starting from a structure optimized by DFT (PBE), the PXRD pattern of Sc3Ge4Mo2 was calculated for Cu Kα (weighted mean of Kα1 and Kα2).
No peak broadening, texture or thermal motion is included.

The 10 most intense peaks (2θ from 10° to 90°), sorted by position:
Position (°2θ), d (Å), Rel. int., hkl
35.30, 2.542, 100, 1 3 2
35.71, 2.515, 83, 2 3 1
36.94, 2.433, 31, 2 0 2
37.36, 2.407, 34, 0 4 2
37.87, 2.376, 21, 2 4 0
39.43, 2.285, 24, 2 2 2
40.09, 2.249, 36, 2 4 1
40.70, 2.217, 31, 0 6 0
41.60, 2.171, 34, 1 1 3
41.96, 2.153, 39, 3 0 1

```
Sc3Ge4Mo2
1.0
6.7907 0.0000 0.0000
0.0000 13.3008 0.0000
0.0000 0.0000 6.9779
Sc Ge Mo
12 16 8
Cartesian
0.9294 1.6240 1.1340 Sc
0.9294 5.0264 1.1340 Sc
1.2332 9.9756 0.0221 Sc
2.1622 3.3252 3.5111 Sc
2.4660 8.2744 4.6230 Sc
2.4660 11.6769 4.6230 Sc
4.3247 1.6240 2.3550 Sc
4.3247 5.0264 2.3550 Sc
4.6285 9.9756 3.4669 Sc
5.5575 3.3252 6.9558 Sc
5.8614 8.2744 5.8439 Sc
5.8614 11.6769 5.8439 Sc
0.3529 9.9756 4.1535 Ge
1.2030 3.3252 5.9084 Ge
1.4421 7.2070 6.7762 Ge
1.4421 12.7442 6.7762 Ge
1.9533 0.5566 3.2872 Ge
1.9533 6.0938 3.2872 Ge
2.1923 9.9756 2.4194 Ge
3.0425 3.3252 0.6646 Ge
3.7483 9.9756 6.3133 Ge
4.5984 3.3252 4.5585 Ge
4.8374 7.2070 3.6907 Ge
4.8374 12.7442 3.6907 Ge
5.3486 0.5566 0.2017 Ge
5.3486 6.0938 0.2017 Ge
5.5877 9.9756 1.0695 Ge
6.4378 3.3252 2.8244 Ge
0.1997 7.9149 2.1972 Mo
0.1997 12.0364 2.1972 Mo
3.1956 1.2645 5.6861 Mo
3.1956 5.3860 5.6861 Mo
3.5951 7.9149 1.2918 Mo
........

(Request)
Your job: filter the notes further above: keep the lines with the word "was".

(Solution)
Starting from a structure optimized by DFT (PBE), the PXRD pattern of Sc3Ge4Mo2 was calculated for Cu Kα (weighted mean of Kα1 and Kα2).